Overcoming obstacles in border regions - any concrete suggestion on how eGovernment can tackle these?

A public consultation was carried out by the European Commission (DG REGIO) between 21 September and 21 December 2015 to collect experiences and opinions from citizens, key stakeholders and experts, in order to get a comprehensive overview of what obstacles persist and of their impact on the daily lives of people and businesses in border regions. According to the results, legal and administrative barriers seem to be quite relevant; lack of information and awareness are particularly mentioned, concerning private individuals as well as administrations. For a quick overview see the Infographic.

Unrelated to this entry: records of molecules
'''
[1]
This record from the OMol25 dataset describes a molecular structure, C29H44N4O3S2SbSe4SiY. The level of theory is ωB97M-V/def2-TZVPD.

```
89
Properties=species:S:1:pos:R:3:mulliken_charge:R:1
Y 0.189 -1.170 -1.252 0.054
N -4.315 4.401 -3.605 -0.669
C -3.867 3.097 -3.396 1.149
C -4.508 2.268 -2.473 -0.859
C -4.061 0.980 -2.260 -0.100
C -2.975 0.497 -2.980 -0.256
C -2.344 1.300 -3.918 -0.407
C -2.795 2.590 -4.131 -0.662
S -2.283 -1.084 -2.574 1.662
O -0.926 -1.007 -3.110 -0.692
O -3.071 -2.155 -3.104 -0.791
N -2.065 -1.096 -1.024 0.583
C -3.046 -1.603 -0.245 0.176
N -4.317 -1.708 -0.685 -0.657
C -5.192 -2.252 0.151 -0.286
C -4.862 -2.655 1.432 -0.905
C -3.551 -2.407 1.820 -0.154
N -2.644 -1.891 1.009 -0.216
H -4.820 4.796 -2.828 0.217
H -3.612 5.032 -3.956 0.226
H -5.343 2.652 -1.898 0.303
H -4.541 0.342 -1.529 0.323
H -1.486 0.925 -4.458 0.424
H -2.284 3.225 -4.847 0.281
H -6.208 -2.348 -0.222 0.429
H -5.584 -3.104 2.097 0.394
H -3.213 -2.626 2.830 0.460
C 1.772 -4.976 0.083 -1.150
S 1.424 -3.340 0.740 1.131
O 0.083 -3.014 0.114 -0.798
C 0.978 -3.794 2.417 -0.013
C -0.331 -4.088 2.765 -0.397
C -0.635 -4.344 4.095 -0.631
C 0.365 -4.295 5.059 -0.434
C 1.672 -3.991 4.697 -0.593
C 1.985 -3.728 3.371 -0.331
H 0.948 -5.637 0.352 0.392
H 2.735 -5.298 0.483 0.329
H 1.865 -4.863 -0.996 0.262
H -1.089 -4.092 1.992 0.371
H -1.654 -4.576 4.383 0.390
H 0.124 -4.489 6.098 0.361
H 2.449 -3.943 5.451 0.395
H 2.998 -3.483 3.058 0.339
C 2.040 0.758 2.741 -2.214
C 2.608 1.233 1.393 3.051
C 3.700 0.221 1.024 -1.403
C 3.281 2.589 1.646 -1.941
Si 1.196 1.229 0.021 -0.568
C -0.363 2.187 0.775 3.386
C -1.357 2.468 -0.356 -2.667
C -0.131 3.496 1.532 -1.935
C -1.109 1.229 1.714 -2.191
C 1.854 2.308 -1.521 3.125
C 1.774 3.833 -1.373 -1.921
C 3.298 1.963 -1.903 -2.221
C 1.002 1.916 -2.741 -2.009
H 2.871 0.547 3.429 0.600
H 1.463 -0.166 2.638 0.237
H 1.405 1.508 3.217 0.329
H 4.480 0.224 1.796 0.535
H 4.187 0.419 0.070 0.190
H 3.312 -0.793 0.972 -0.132
H 4.000 2.485 2.472 0.573
H 2.572 3.369 1.923 0.285
H 3.844 2.938 0.780 0.279
H -0.989 3.193 -1.081 0.133
H -2.295 2.869 0.063 0.698
H -1.617 1.553 -0.899 0.186
H 0.374 4.248 0.929 0.305
H 0.457 3.343 2.436 0.335
H -1.100 3.919 1.848 0.494
H -1.376 0.297 1.209 0.142
H -2.046 1.699 2.057 0.499
H -0.534 0.964 2.599 0.345
H 2.315 4.192 -0.496 0.224
H 0.749 4.199 -1.307 0.332
H 2.230 4.308 -2.256 0.551
H 4.028 2.296 -1.165 0.343
H 3.546 2.462 -2.851 0.552
H 3.450 0.895 -2.057 0.294
H -0.066 2.081 -2.585 0.174
H 1.163 0.867 -3.008 0.243
H 1.304 2.504 -3.621 0.696
Se 4.109 -5.109 -3.032 -0.743
Sb 4.697 -3.064 -1.847 0.714
Se 2.359 -1.814 -1.782 -0.095
Se 5.184 -3.436 0.538 -0.732
Se 6.170 -1.482 -2.942 -0.722
```

Summary:
Multiplicity: 1
E_tot: -12546.55277 a.u.
Charge: -2

***

[2]
This record from the OMol25 dataset describes a molecular structure, C29H45As2F9N3O2PPtS2. The level of theory is ωB97M-V/def2-TZVPD.

```
94
Properties=species:S:1:pos:R:3:mulliken_charge:R:1
Pt 0.639 -0.048 0.242 2.585
C 2.933 -2.764 1.715 -1.498
'''

Do you also experience similar barriers? Would you have any concrete suggestion on how eGovernment can tackle these?


eGovernment eGov Modernising public administration Cross-border interoperability


Profile picture for user MarenKuschnerus
Curtha isteach ag Maren KUSCHNERUS an Wed, 26/10/2016 - 12:49

Dear Andrea Halmos, it is a pity I see your inquiry only now. Did you receive ideas and/or did you launch a broader initiative to collect ideas? As a disseminator of EU-information in our Region Salzburg, could I assist somehow to your purpose? Best regards, Maren Kuschnerus

Profile picture for user ahalmos
Curtha isteach ag Andrea Halmos an Mon, 28/11/2016 - 11:01

The Cross-Border Review launched by DG REGIO is trying to better understand the key local issues faced by citizens and businesses crossing borders on a daily basis, as crossing border to find employment, receive better healthcare, make use of public facilities or receive emergency support can still cause difficulties. Taxation or pension rights issues, non-recognition of rights or standards, impossibility to operate joint emergency services are still problems that exist today. Most of the remaining obstacles stem from diverging national legislations, incompatible administrative processes, or simply lack of common territorial planning.

As discussed in one of the related stakeholder workshops, what are the concrete obstacles on various EU internal borders and what are the obstacles for citizens and businesses that seem to appear most frequently?

Are you aware of good practice cases on how to tackle them?

# These calculated molecules were left in the page by mistake
Formula: C30H85N5O10
Source: the OMol25 dataset
Level of theory: ωB97M-V/def2-TZVPD

Last column: Mulliken spin population.
Element x y z (Å)
1 C -1.14038 3.92001 4.84574  0.002
2 C -0.30338 2.84040 4.08050  0.005
3 O 1.02401 3.37411 3.83133  -0.008
4 H -2.04388 3.52695 5.31191  -0.001
5 H -1.69040 4.55636 4.15244  -0.001
6 H -0.51190 4.49755 5.52364  0.001
7 H -0.83133 2.62259 3.15210  0.000
8 H -0.12743 1.89958 4.60203  0.000
9 H 0.91825 3.93355 3.05839  0.006
10 C 3.75083 3.76000 -3.92012  0.289
11 C 2.63092 4.16047 -2.86650  0.091
12 O 2.47779 3.13897 -1.85609  -0.202
13 H 3.71219 4.38726 -4.81070  -0.049
14 H 3.55707 2.72573 -4.20447  0.064
15 H 4.71399 3.87445 -3.42280  -0.066
16 H 1.72602 4.11721 -3.47263  0.012
17 H 2.89045 5.13208 -2.44612  -0.019
18 H 2.53349 2.27603 -2.27303  0.136
19 C 0.11877 6.83625 1.05731  -0.001
20 C 0.25700 5.42811 0.55566  0.034
21 O -0.43156 4.49936 1.36047  -0.025
22 H 0.78460 7.45982 0.46072  -0.005
23 H 0.41457 6.87143 2.10581  0.003
24 H -0.85958 7.29952 0.92955  0.000
25 H 1.31899 5.21227 0.43859  0.002
26 H -0.19875 5.19378 -0.40636  0.025
27 H -0.62564 3.85812 0.67292  0.002
28 C -5.22420 4.51054 1.24818  0.015
29 C -6.41521 3.57955 1.01502  0.007
30 O -7.60753 4.20594 0.67643  -0.009
31 H -5.18829 5.15235 2.12847  -0.001
32 H -5.07919 5.20625 0.42170  0.001
33 H -4.37566 3.82770 1.29064  -0.012
34 H -6.48289 2.92208 1.88177  0.003
35 H -6.20071 2.90995 0.18212  0.004
36 H -8.03280 4.63055 1.42506  0.001
37 C -1.04449 2.62084 -5.86383  0.396
38 C -1.24569 1.68265 -4.64049  -0.124
39 O -0.53241 2.19462 -3.58427  -0.734
40 H -1.13094 3.68247 -5.63237  -0.004
41 H -1.49033 2.30585 -6.80729  -0.054
42 H -0.04059 2.49024 -6.26785  -0.044
43 H -0.89094 0.65531 -4.72302  0.337
44 H -2.32327 1.75093 -4.49135  -0.021
45 H 0.34638 1.82470 -3.69606  0.417
46 C 0.36173 -3.26141 -5.69829  0.071
47 C 1.85638 -2.84305 -5.44215  0.170
48 C 2.35350 -1.74554 -6.38946  0.250
49 O 2.53966 -2.15624 -7.77479  -0.180
50 C 3.30728 -3.33905 -8.04067  0.057
51 N 1.89713 -2.42522 -4.04753  0.166
52 H -0.26918 -2.41837 -5.97994  -0.006
53 H -0.05195 -3.87142 -4.89526  0.028
54 H 0.18221 -3.85236 -6.59644  -0.018
55 H 2.33113 -3.81844 -5.33575  0.063
56 H 3.31527 -1.31742 -6.10693  -0.059
57 H 1.71063 -0.87404 -6.26582  0.115
58 H 4.25550 -3.31577 -7.50362  -0.007
59 H 3.35538 -3.42330 -9.12634  -0.010
60 H 2.81242 -4.22189 -7.63593  0.003
61 H 1.53885 -3.23045 -3.55424  -0.128
62 H 2.88457 -2.39585 -3.83729  -0.167
63 C -2.85817 2.19097 -1.01859  0.008
64 C -1.57219 1.63414 -0.38241  -0.589
65 C -1.14737 0.20163 -0.80758  0.300
66 O -0.16755 -0.44054 0.04721  -0.305
67 C 0.10711 -1.75739 -0.36171  0.062
68 N -0.58057 2.67769 -0.66107  0.057
69 H -3.74915 1.60849 -0.78418  -0.015
70 H -2.65959 2.20533 -2.09025  0.014
71 H -3.00340 3.22369 -0.70156  0.038
72 H -1.76550 1.48844 0.68037  0.022
73 H -1.03743 0.05391 -1.88191  0.194
74 H -2.07917 -0.36302 -0.77565  0.059
75 H -0.54192 -2.45433 0.16852  -0.024

Profile picture for user ahalmos
Curtha isteach ag Andrea Halmos an Thu, 31/08/2017 - 13:45

Based on the result of the Cross-border Review, the European Commission will adopt the Communication "Boosting Growth and Cohesion in EU Border Regions" in September 2017. 

The aim of the Communication is to highlight ways in which Europe can reduce the complexity, length and costs of cross-border interaction and promote the pooling of services along internal borders.

To mark its formal adoption a launch event will take place on 20-21 September 2017 in Brussels.